January 30, 2008

ZOHO : Amazing Web Based Application Developer

I believe I have found one of the most complete as well as easy to use Application Development platform. Why do I say so ? Consider the following features :
  1. A relational database for the persistent storage of data.
  2. A total GUI drag-and-drop front end forms builder with the ability to extend the logic with a scripting language.
  3. The database supports multiple tables linked through foreign keys and updateably both directly and from the application
  4. Easy integration with internet ( send mail ) and web.
But the real icing on the cake is as follows
  1. There is NO SOFTWARE to buy and install. Both the RDBMS as well as the IDE are web based.
  2. The final application can be embedded into any website that allows Javascript. No support required for CGI / Perl / PHP whatever on your webserver.
  3. The entire service is currently FREE !!! and I really hope that it stays that way

-- Attached: materials data --
<<<
First-principles (meta-GGA r2SCAN) data for a relaxed ZrGeIr crystal, as listed in Materials Project.

Unit cell a=4.044 b=6.607 c=7.543 alpha=90.00 beta=90.00 gamma=90.00
Element x y z (fractional)
Zr 0.250 0.019 0.813
Zr 0.250 0.519 0.687
Zr 0.750 0.981 0.187
Zr 0.750 0.481 0.313
Ge 0.250 0.771 0.383
Ge 0.250 0.271 0.117
Ge 0.750 0.229 0.617
Ge 0.750 0.729 0.883
Ir 0.250 0.151 0.434
Ir 0.250 0.651 0.066
Ir 0.750 0.849 0.566
Ir 0.750 0.349 0.934

***

First-principles (meta-GGA r2SCAN) data for a relaxed K3Ge17 crystal, as listed in Materials Project.

Unit cell a=11.088 b=11.088 c=11.088 alpha=60.00 beta=60.00 gamma=60.00
Element x y z (fractional)
K 0.000 0.000 0.500
K 0.000 0.500 0.000
K 0.500 0.000 0.000
K 0.000 0.000 0.000
K 0.375 0.375 0.375
K 0.625 0.625 0.625
Ge 0.875 0.875 0.875
Ge 0.125 0.125 0.125
Ge 0.781 0.781 0.157
Ge 0.781 0.157 0.781
Ge 0.157 0.781 0.781
Ge 0.781 0.781 0.781
Ge 0.219 0.219 0.843
Ge 0.219 0.843 0.219
Ge 0.843 0.219 0.219
Ge 0.219 0.219 0.219
Ge 0.628 0.628 0.237
Ge 0.006 0.237 0.628
Ge 0.237 0.006 0.628
Ge 0.628 0.628 0.006
Ge 0.237 0.628 0.628
Ge 0.628 0.006 0.237
Ge 0.628 0.237 0.006
Ge 0.006 0.628 0.628
Ge 0.628 0.237 0.628
Ge 0.237 0.628 0.006
Ge 0.006 0.628 0.237
Ge 0.628 0.006 0.628
Ge 0.372 0.372 0.763
Ge 0.994 0.763 0.372
Ge 0.763 0.994 0.372
Ge 0.372 0.372 0.994
Ge 0.763 0.372 0.372
Ge 0.372 0.994 0.763
Ge 0.372 0.763 0.994
Ge 0.994 0.372 0.372
Ge 0.372 0.763 0.372
Ge 0.763 0.372 0.994
Ge 0.994 0.372 0.763
Ge 0.372 0.994 0.372

***

First-principles (meta-GGA r2SCAN) data for a relaxed K3LiGe4 crystal, as listed in Materials Project.

Unit cell a=7.720 b=9.840 c=12.395 alpha=90.00 beta=90.00 gamma=90.00
Element x y z (fractional)
K 0.155 0.250 0.600
K 0.845 0.750 0.400
K 0.345 0.750 0.100
K 0.655 0.250 0.900
K 0.156 0.055 0.306
K 0.844 0.945 0.694
K 0.344 0.945 0.806
K 0.844 0.555 0.694
K 0.656 0.055 0.194
K 0.156 0.445 0.306
K 0.656 0.445 0.194
K 0.344 0.555 0.806
Li 0.000 0.000 0.000
Li 0.500 0.000 0.500
Li 0.000 0.500 0.000
Li 0.500 0.500 0.500
Ge 0.636 0.250 0.606
Ge 0.364 0.750 0.394
Ge 0.864 0.750 0.106
Ge 0.136 0.250 0.894
Ge 0.291 0.123 0.049
Ge 0.709 0.877 0.951
Ge 0.209 0.877 0.549
Ge 0.709 0.623 0.951
Ge 0.791 0.123 0.451
Ge 0.291 0.377 0.049
Ge 0.791 0.377 0.451
Ge 0.209 0.623 0.549
Ge 0.005 0.250 0.087
Ge 0.995 0.750 0.913
Ge 0.495 0.750 0.587
Ge 0.505 0.250 0.413

***

First-principles (meta-GGA r2SCAN) data for a relaxed KLi3GeO4 crystal, as listed in Materials Project.

Unit cell a=5.826 b=7.442 c=9.877 alpha=83.48 beta=76.48 gamma=79.68
Element x y z (fractional)
K 0.496 0.117 0.616
K 0.504 0.883 0.384
K 0.458 0.359 0.872
K 0.542 0.641 0.128
Li 0.978 0.823 0.113
Li 0.022 0.177 0.887
Li 0.305 0.324 0.354
Li 0.695 0.676 0.646
Li 0.930 0.547 0.876
Li 0.070 0.453 0.124
Li 0.036 0.927 0.628
Li 0.312 0.051 0.103
Li 0.692 0.444 0.396
Li 0.308 0.556 0.604
Li 0.964 0.073 0.372
Li 0.688 0.949 0.897
Ge 0.942 0.291 0.634
Ge 0.058 0.709 0.366
Ge 0.334 0.794 0.852
Ge 0.666 0.206 0.148
>>>

To see the kind of applications that can be built .... see

Contact Manager Application

or the

Bank Transaction Application

The two of them were developed and deployed in about three hours.

to know more about this visit the Zoho website.

This is extremely useful for developing small, lightweight applications.

~~~
DFT (r2SCAN) results for a relaxed structure of Y2InCu2.

Space group: P4/mbm
Energy of formation from the pure elements in eV/atom: -0.436
E_tot in eV/f.u.: -87.078

Unit cell a=7.4667 b=7.4667 c=3.7907 alpha=90.00 beta=90.00 gamma=90.00
Atoms (fractional coordinates):
1 Cu 0.6199 0.8801 0.0000
2 Y 0.3272 0.8272 0.5000
3 In 0.5000 0.5000 0.0000
4 Y 0.8272 0.6728 0.5000
5 Cu 0.3801 0.1199 0.0000
6 Cu 0.1199 0.6199 0.0000
7 Y 0.1728 0.3272 0.5000
8 Y 0.6728 0.1728 0.5000
9 In 0.0000 0.0000 0.0000
10 Cu 0.8801 0.3801 0.0000


Entry 1:
The following is a meta-GGA r2SCAN calculation of crystalline La2Al2I at its relaxed geometry, from Materials Project.

abc: 4.396 4.396 17.782
angles: 90.00 90.00 120.00
Sites, in units of the cell vectors:
Al 0.333 0.667 0.993
Al 0.667 0.333 0.493
Al 0.667 0.333 0.007
Al 0.333 0.667 0.507
La 0.000 0.000 0.382
La 0.000 0.000 0.882
La 0.000 0.000 0.118
La 0.000 0.000 0.618
I 0.667 0.333 0.750
I 0.333 0.667 0.250

=====

Entry 2:
The following is a meta-GGA r2SCAN calculation of crystalline DyCu2Ge2 at its relaxed geometry, from Materials Project.

abc: 4.018 4.018 5.865
angles: 110.03 110.03 90.00
Sites, in units of the cell vectors:
Ge 0.381 0.381 0.762
Ge 0.619 0.619 0.238
Dy 0.000 0.000 0.000
Cu 0.250 0.750 0.500
Cu 0.750 0.250 0.500

=====

Entry 3:
The following is a meta-GGA r2SCAN calculation of crystalline DyAu at its relaxed geometry, from Materials Project.

abc: 3.571 3.571 3.571
angles: 90.00 90.00 90.00
Sites, in units of the cell vectors:
Dy 0.500 0.500 0.500
Au 0.000 0.000 0.000

=====

Entry 4:
The following is a meta-GGA r2SCAN calculation of crystalline Ba4Pb3O10 at its relaxed geometry, from Materials Project.

abc: 4.318 4.319 15.567
angles: 97.98 97.99 90.00
Sites, in units of the cell vectors:
Ba 0.575 0.572 0.138
Ba 0.302 0.300 0.595
Ba 0.708 0.706 0.405
Ba 0.436 0.434 0.862
Pb 0.863 0.861 0.718
Pb 0.147 0.145 0.282
Pb 0.005 0.003 0.000
O 0.076 0.075 0.141
O 0.934 0.933 0.859
O 0.646 0.144 0.280
O 0.218 0.215 0.424
O 0.505 0.003 0.000
O 0.146 0.643 0.280
O 0.792 0.790 0.576
O 0.365 0.862 0.720
O 0.864 0.363 0.720
O 0.006 0.503 0.000

=====

Entry 5:
The following is a meta-GGA r2SCAN calculation of crystalline K2TcH9 at its relaxed geometry, from Materials Project.

abc: 9.503 9.503 5.530
angles: 90.00 90.00 120.00
Sites, in units of the cell vectors:
K 0.000 0.591 0.000
K 0.262 0.000 0.500
K 0.000 0.262 0.500
K 0.591 0.000 0.000
K 0.409 0.409 0.000
K 0.738 0.738 0.500
H 0.692 0.468 0.282
H 0.826 0.826 0.000
H 0.775 0.308 0.282
H 0.368 0.513 0.500
H 0.126 0.126 0.788
H 0.144 0.632 0.500
H 0.174 0.000 0.000
H 0.000 0.874 0.788
H 0.000 0.874 0.212
H 0.874 0.000 0.788
H 0.308 0.775 0.282
H 0.692 0.468 0.718
H 0.468 0.692 0.718
H 0.775 0.308 0.718
H 0.632 0.144 0.500
H 0.126 0.126 0.212
H 0.856 0.487 0.500
H 0.874 0.000 0.212
H 0.487 0.856 0.500
H 0.532 0.225 0.718
H 0.225 0.532 0.718
H 0.308 0.775 0.718
H 0.513 0.368 0.500
H 0.000 0.174 0.000
H 0.225 0.532 0.282
H 0.468 0.692 0.282
~~~
### The entry goes on

January 27, 2008

Kollaborative Klassroom : A Web 2.0 Platform

Web 2.0 means different things to different people but perhaps the most authentic -- and original -- definition is given by Tim O'Reilly in his now classic articulation of What is Web 2.0.

**Materials data from another source follow**
'''
[1]
# Yb2Mg (r²SCAN, optimized geometry)
# **Calculated volume**: 162.7 Å³ per cell
# **Final energy**: -154.8 eV for the cell shown
# **Energy of formation**: -62 meV per atom
data_Yb2Mg
_chemical_formula_sum 'Yb4 Mg2'
_space_group_name_H-M_alt 'P 1'
_space_group_IT_number 1
_cell_length_a 8.600
_cell_length_b 8.600
_cell_length_c 5.349
_cell_angle_alpha 90.00
_cell_angle_beta 90.00
_cell_angle_gamma 155.72
loop_
_space_group_symop_operation_xyz
'x,y,z'
loop_
_atom_site_label
_atom_site_type_symbol
_atom_site_fract_x
_atom_site_fract_y
_atom_site_fract_z
_atom_site_occupancy
Yb1 Yb 0.093 0.907 0.750 1
Yb2 Yb 0.228 0.772 0.250 1
Yb3 Yb 0.772 0.228 0.750 1
Yb4 Yb 0.907 0.093 0.250 1
Mg1 Mg 0.432 0.568 0.750 1
Mg2 Mg 0.568 0.432 0.250 1

---

[2]
# LaSnF7 (r²SCAN, optimized geometry)
# **Calculated volume**: 588.2 Å³ per cell
# **Final energy**: -431.1 eV for the cell shown
# **Energy of formation**: -3490 meV per atom
data_LaSnF7
_chemical_formula_sum 'La4 Sn4 F28'
_space_group_name_H-M_alt 'P 1'
_space_group_IT_number 1
_cell_length_a 9.311
_cell_length_b 5.727
_cell_length_c 12.522
_cell_angle_alpha 90.00
_cell_angle_beta 118.25
_cell_angle_gamma 90.00
loop_
_space_group_symop_operation_xyz
'x,y,z'
loop_
_atom_site_label
_atom_site_type_symbol
_atom_site_fract_x
_atom_site_fract_y
_atom_site_fract_z
_atom_site_occupancy
La1 La 0.189 0.240 0.265 1
La2 La 0.189 0.260 0.765 1
La3 La 0.811 0.740 0.235 1
La4 La 0.811 0.760 0.735 1
Sn1 Sn 0.274 0.745 0.043 1
Sn2 Sn 0.274 0.755 0.543 1
Sn3 Sn 0.726 0.245 0.457 1
Sn4 Sn 0.726 0.255 0.957 1
F1 F 0.033 0.738 0.948 1
F2 F 0.033 0.762 0.448 1
F3 F 0.038 0.603 0.731 1
F4 F 0.038 0.897 0.231 1
F5 F 0.258 0.553 0.169 1
F6 F 0.258 0.947 0.669 1
F7 F 0.269 0.025 0.133 1
F8 F 0.269 0.475 0.633 1
F9 F 0.284 0.043 0.459 1
F10 F 0.284 0.457 0.959 1
F11 F 0.288 0.556 0.419 1
F12 F 0.288 0.944 0.919 1
F13 F 0.486 0.234 0.362 1
F14 F 0.486 0.266 0.862 1
F15 F 0.514 0.734 0.138 1
F16 F 0.514 0.766 0.638 1
F17 F 0.712 0.056 0.081 1
F18 F 0.712 0.444 0.581 1
F19 F 0.716 0.543 0.041 1
F20 F 0.716 0.957 0.541 1
F21 F 0.731 0.525 0.367 1
F22 F 0.731 0.975 0.867 1
F23 F 0.742 0.053 0.331 1
F24 F 0.742 0.447 0.831 1
F25 F 0.962 0.103 0.769 1
F26 F 0.962 0.397 0.269 1
F27 F 0.967 0.238 0.552 1
F28 F 0.967 0.262 0.052 1

---

[3]
# MgCdAg2 (r²SCAN, optimized geometry)
# **Calculated volume**: 73.5 Å³ per cell
# **Final energy**: -67.5 eV for the cell shown
# **Energy of formation**: -133 meV per atom
data_MgCdAg2
_chemical_formula_sum 'Mg1 Cd1 Ag2'
_space_group_name_H-M_alt 'P 1'
_space_group_IT_number 1
_cell_length_a 3.224
_cell_length_b 3.224
_cell_length_c 7.071
_cell_angle_alpha 90.00
_cell_angle_beta 90.00
_cell_angle_gamma 90.00
loop_
_space_group_symop_operation_xyz
'x,y,z'
loop_
_atom_site_label
_atom_site_type_symbol
_atom_site_fract_x
_atom_site_fract_y
_atom_site_fract_z
_atom_site_occupancy
Mg1 Mg 0.000 0.000 0.000 1
Cd1 Cd 0.000 0.000 0.500 1
Ag1 Ag 0.500 0.500 0.240 1
Ag2 Ag 0.500 0.500 0.760 1

---

[4]
'''

One of the key aspects of his articulation was the premise that Web 2.0 is less of technology and more of a platform -- or if you use the analogy of "Hindu" sanatan dharma, less of a dogma and more of way of life !

The word platform -- like the word architechure -- is widely used and abused in the world of computers. So to make things easier for us, let us first look at a more traditional platform : the ERP as implemented in SAP or Oracle. An ERP consists of a collection of applications developed using a one or more technologies. At the core there would be a database management software and on top of this would reside application, integration and presentation software. Woven into this is a set of business logic which in a sense should be common to or at least relevent to a vast number of business entities.

This platform is now used to support a wide range of business requirements : finanancial accounting, human resource management, sales and distribution, material management etc., for companies ranging from steel plants to retail stores. The magic lies in the fact that the platform is flexibile enough to meet the requirements of almost any company. All that is needed is some customisation of the platform and some flexibility of the client company to adapt itself to the platform.

What are the components of a Web 2.0 platform
  1. A network of trust -- or as they say, a social network best exemplified by Orkut or Facebook and others of the same genre. Web 2.0 needs the wisdom of the crowd and a social network is perhaps the best way to create one.
  2. User generated content. A network cannot be built by one or a restricted group of people. That is why company sponsored networks -- like AOL or MSN could never keep up with the Internet. The content in the network must be generated by the users. The best example of this is of course Wikipedia where legions of users generated tons of content to overwhelm established brands like Brittanica or Encarta.
  3. Rich content. Human beings are accustomed to the audio-visual experience -- certainly not text. Hence the content in the network must consists of images, music and video. This is why image networks like Flickr and video networks like YouTube are essential icons of the Web 2.0 platform. Of late, 3D virtual worlds like Second Life offer a whole new experience in terms of rich content
  4. Web 2.0 is ever evolving and it is impossible to state that the platform is NOW ready for use. It will never be ready .. it will always be under construction and so the technology that will drive it has to compatible to what is loosely referred to as "mashup"s. There will never be a SAP for Web 2.0. There will be hundreds of small components -- and widgets are a good analogy -- which will be assembled and made to work together to deliver results.
  5. Finally -- and perhaps axiomatically -- Web 2.0 cannot run either on isolated machines or on restricted networks. By its very nature it must run on the internet : it is a living example of Sun's tagline "The network is the computer"
So to qualify for a Web 2.0 tag, a platform must
  • be based around a social network
  • encourage user generated content
  • support rich media
  • extend through mashups
The Kollaborative Klassroom is an experiment to develop a Web 2.0 platform to support management education at the Praxis Business School, Calcutta. It is based on
  • A social network based on technology from Ning that is used to support the community of students and faculty
  • A wiki created with Zoho that is used to create teaching material in a collaborative manner
  • Rich multimedia that is supported on FlickR, YouTube and the virtual world of Second Life
  • Extensions like widgets, calendars that can be integrated to the main platform.
In an earlier post I had discussed how the corporation may be change under the impact of Web 2.0. With the development of platform like the Kollaborative Klassroom the day when this will happen has just come closer !

January 05, 2008

Prinsep forgotten at Prinsep Festival

We should be grateful to INTACH and HSBC for taking a very positive step to revive and rejuvenate the Strand along the Hooghly by organising the Prinsep Festival at the forgotten Prinsep Ghat -- that wonderful piece of architecture on the river.

With the twin towers of the Second Hooghly Bridge towering in the background, it was a wonderful setting for the evening program featuring a very vigorous Manipuri Dance by Preeti Patel and an equally impressive interpretation of the Dasha Avataras in BharataNatayam by Bhanumati. Not being a dance critic I will not hazard a display of my ignorance by commenting on the quality of the presentations .. but from the perspective of a layman, it was a truly enjoyable experience.

What was a little disturbing though was the immense ignorance about James Prinsep and the reason why he was honoured by his fellow citizens !!

Neither the compere nor any of the other dignitaries had anything to say about the man who was the first to decipher the Brahmi Script and paved the way for our understanding of what is now known as the Rock Edicts of Emperor Ashoka !

Keeping aside the legendary Bharat ( after whom Bharat and Bharatvarsha is named ) it was Emperor Ashok who gave a physical shape to the political entity that has now evolved into the nation-state that is India today ... and it is his symbols and emblems that was rightly chosen by post-Independence India as its national logo : the Ashok Stambh !!

James Prinsep was an employee of the East India Company and worked in the mints at Banaras and Calcutta. He was passionate about ancient India "but the crowning achievement of all his labours over the decade was the decipherment of the Brahmi script and the consequent clearing up of many of the mysteries of ancient Indian history."

This script was used in Ashokan rock editics and so in a sense we should be grateful to his labours for introducing us to our own glorious heritage !! No wonder his fellow citizens had honoured him with this ghat on the river.

Mr Simon Wilson, the Deputy High Commissioner of the UK, was present at the Princep Festival last night and I was expecting at least him to mention this wonderful piece of fact to the luminaries ( or chatterati !) who had assembled ... but unfortunately he missed this opportunity to showcase the good work done by his countrymen for India. Perhaps he would be better prepared next year.

But all said and done, it was a wonderful experience.